FA Performance Source Metrics
The FA Administrator can set up to three time profiles. The time profiles can be set to any integer from 1 to 1440 and are not confined to a specific set.
Each of the statistic templates defined below specifies the following values:
DBAppSpecificIdColumnName: patternNum.
Filtered metrics are disabled by default. For information about enabling filtered metrics, see Genesys Performance Management Advisors 8.1 Deployment Guide.
Source Metric Name | Description | Metric Filter Required |
CallsHandled (nch) | Number of calls handled by the agent. | None |
CallsTransferred (nct) | Number of calls transferred by the agent. | None |
LongestTalkTime (ltt) | The longest talk time of calls handled by the agent in the last xx minutes. | None |
LongestWrapTime (lacw) | The maximum amount of time an agent spent on After Call Work in the last xx minutes. | None |
Total ACD Inbound ACW Time (ACDInboundACW) | Total amount of time spent performing after-call work for inbound calls. | Yes
(Filter for ACD interactions.) |
Total ACW Time (totalACW) | Total amount of time spent performing after-call work for all voice calls. | None |
TotalHandleTime (tht) | The total amount of time an agent spent handling calls in the last xx minutes. Handle time includes talk time and after-call work. | None |
totalLoggedIn1 | NOTE: The totalLoggedIn metric cannot be viewed on the dashboard. The totalLoggedIn metric is used only for intermediate calculations. | None |
Total Non ACD Inbound ACW Time (nonACDInboundACW) | Total amount of time spent performing after-call work for inbound non-ACD calls. | Yes
(Filter for non-ACD interactions.) |
Total Not Ready Time (totalNotReady) | Total amount of time in the Not Ready state. | None |
Total Not Ready Time - Type X (totalNotReadyT X)
NOTE: Where X=1, 2, 3, ... 9. That is, there are 9 totalNotReadyT source metrics. |
The total amount of time in a specific Not Ready state. For example, in your enterprise, the Total Not Ready Time - Type 1 may be the total time spent on breaks. | Yes
(Filter for Not Ready Time. One filter required for each Type used. For example, if you define a Total Not Ready Time Type 1 and Total Not Ready Time Type 2, you require two filters.) |
Total Number of ACD Calls (ACDCalls) | Total number of ACD calls. | Yes
(Filter for ACD interactions.) |
Total Number of Consult Calls (consultCalls) | The total number of consult calls. | None |
Total Number of Internal Calls (internalCalls) | Total number of internal calls. | None |
Total Number of Non ACD Calls (nonACDCalls) | Total number of non-ACD calls. | Yes
(Filter for non-ACD interactions.) |
Total Number of Outbound Calls (outboundCalls) | Total number of outbound calls. | None |
Total Other ACW Time (otherACW) | Total amount of time spent performing after-call work for internal and consult calls, as well as after-call work that cannot be associated with any call. | None |
Total Outbound ACW Time (outboundACW) | Total amount of time spent performing after-call work for outbound calls. | None |
Total Ready Time (totalReady) | Total amount of time in the Ready state. | None |
TotalTalkTime (ttt) | The total amount of time an agent spent talking on calls in the last xx minutes. | None |
Total Time In ACD Calls (totalACD) | Total amount of time spent in ACD calls. | Yes
(Filter for ACD interactions.) |
Total Time In Consult Calls (totalConsult) | Total amount of time spent in consult calls. | None |
Total Time In Internal Calls (totalInternal) | Total amount of time spent in internal calls. | None |
Total Time In Non ACD Calls (totalNonACD) | Total amount of time spent in non-ACD calls. | Yes
(Filter for non-ACD interactions.) |
Total Time In Outbound Calls (totalOutbound) | Total amount of time spent in outbound calls. | None |
TotalWrapTime (tacw) | The total amount of time an agent spent handling calls in the last xx minutes. | None |
Web Chat
Source Metric Name | Description | Metric Filter Required |
ChatInProcess (wInProc) | Number of chat interactions currently in process for the agent in the last xx minutes. | None |
**Here the page breaks off for records of crystals**
********
No. 1
# MnV3Co2P6O24
Calculated X-ray powder pattern, Cu Kα X-rays. Input: a cell relaxed with PBE+U.
Intensities are scaled so that the largest is 100.

Largest 6 diffraction maxima, by angle, 2θ from 10° to 80°:
- 4.326 Å, intensity 77
- 3.663 Å, intensity 100
- 2.693 Å, intensity 66
- 2.498 Å, intensity 36
- 1.908 Å, intensity 30
- 1.831 Å, intensity 25

Cell and atoms:
abc: 8.505 8.505 8.505
angles: 61.15 61.15 61.15
Fractional positions:
Mn1 0.000 0.000 0.000
V1 0.287 0.287 0.287
V2 0.500 0.500 0.500
V3 0.788 0.788 0.788
Co1 0.142 0.142 0.142
Co2 0.643 0.643 0.643
P1 0.102 0.685 0.398
P2 0.190 0.596 0.896
P3 0.398 0.102 0.685
P4 0.596 0.896 0.190
P5 0.685 0.398 0.102
P6 0.896 0.190 0.596
O1 0.023 0.639 0.836
O2 0.057 0.204 0.397
O3 0.096 0.879 0.243
O4 0.142 0.525 0.332
O5 0.165 0.747 0.956
O6 0.204 0.397 0.057
O7 0.243 0.096 0.879
O8 0.257 0.632 0.475
O9 0.332 0.142 0.525
O10 0.385 0.571 0.732
O11 0.397 0.057 0.204
O12 0.475 0.257 0.632
O13 0.525 0.332 0.142
O14 0.561 0.905 0.697
O15 0.571 0.732 0.385
O16 0.632 0.475 0.257
O17 0.639 0.836 0.023
O18 0.697 0.561 0.905
O19 0.732 0.385 0.571
O20 0.747 0.956 0.165
O21 0.836 0.023 0.639
O22 0.879 0.243 0.096
O23 0.905 0.697 0.561
O24 0.956 0.165 0.747


No. 2
# CoPt3O6
Calculated X-ray powder pattern, Cu Kα X-rays. Input: a cell relaxed with PBE+U.
Intensities are scaled so that the largest is 100.

Largest 6 diffraction maxima, by angle, 2θ from 10° to 80°:
- 2.908 Å, intensity 100
- 2.721 Å, intensity 88
- 2.507 Å, intensity 25
- 2.399 Å, intensity 44
- 1.733 Å, intensity 57
- 1.492 Å, intensity 28

Cell and atoms:
abc: 6.155 6.155 3.240
angles: 90.00 90.00 109.12
Fractional positions:
Co1 0.000 0.000 0.000
Pt1 0.000 0.500 0.500
Pt2 0.500 0.000 0.500
Pt3 0.500 0.500 0.000
O1 0.146 0.854 0.500
O2 0.159 0.413 0.000
O3 0.413 0.159 0.000
O4 0.587 0.841 0.000
O5 0.841 0.587 0.000
O6 0.854 0.146 0.500


No. 3
# K2CrOF5
Calculated X-ray powder pattern, Cu Kα X-rays. Input: a cell relaxed with PBE+U.
Intensities are scaled so that the largest is 100.

Largest 6 diffraction maxima, by angle, 2θ from 10° to 80°:
- 5.037 Å, intensity 100
- 4.739 Å, intensity 74
- 3.517 Å, intensity 37
- 2.989 Å, intensity 32
- 2.969 Å, intensity 28
- 2.502 Å, intensity 30

Cell and atoms:
abc: 6.211 6.211 8.303
angles: 94.55 94.55 77.47
Fractional positions:
K1 0.196 0.201 0.022
K2 0.201 0.196 0.522
K3 0.799 0.804 0.478
K4 0.804 0.799 0.978
Cr1 0.321 0.679 0.750
Cr2 0.679 0.321 0.250
O1 0.473 0.527 0.250
O2 0.527 0.473 0.750
F1 0.064 0.936 0.750
F2 0.111 0.516 0.796
F3 0.231 0.648 0.531
F4 0.352 0.769 0.969
F5 0.484 0.889 0.704
F6 0.516 0.111 0.296
F7 0.648 0.231 0.031
F8 0.769 0.352 0.469
F9 0.889 0.484 0.204
F10 0.936 0.064 0.250


Question: What is the formula in the second record?
Answer: CoPt3O6


Diffraction record for Zr3Tl2Cu2Se8. The powder diffraction line list is theoretical, not measured: it uses a crystal structure in OQMD, relaxed with GGA-PBE and Cu Kα (λ = 1.5418 Å).

Structural model:
********
ChatAccepted (wAcpt) | Number of chat interactions accepted by the agent in the last xx minutes. | None |
ChatRejected (wRjct) | Number of chat interactions rejected by the agent in the last xx minutes. | None |
ChatTimedOut (wTO) | Number of chat interactions timed out for the agent in the last xx minutes. | None |
ChatTransferred (wTxfrs) | Number of chat interactions transferred by the agent in the last xx minutes. | None |
ChatHandled (wH) | Number of chat interactions handled by the agent in the last xx minutes. | None |
ChatOffered (wOffered) | Number of chat interactions offered to the agent in the last xx minutes. | None |
ChatHandleTime (wHT) | Total handle time for all the chat interactions handled by the agent in the last xx minutes. | None |
Source Metric Name | Description | Metric Filter Required |
EmailInProcess (eInProc) | Number of e-mail interactions currently in process for the agent in the last xx minutes. | None |
EmailAccepted (eAcpt) | Number of e-mail interactions accepted by the agent in the last xx minutes. | None |
EmailRejected (eRjct) | Number of e-mail interactions rejected by the agent in the last xx minutes. | None |
EmailTimedOut (eTO) | Number of e-mail interactions timed out for the agent in the last xx minutes. | None |
EmailTransferred (eTxfrs) | Number of e-mail interactions transferred by the agent in the last xx minutes. | None |
EmailHandled (eH) | Number of e-mail interactions handled by the agent in the last xx minutes. | None |
EmailOffered (eOffered) | Number of e-mail interactions offered to the agent in the last xx minutes. | None |
EmailHandleTime (eHT) | Total handle time for all the e-mail interactions handled by the agent in the last xx minutes. | None |
Genesys Adapter Statistic Template Definitions for Performance Metrics
Each performance metric can be enabled for each of the three configurable Time Profiles. These time profiles can be Sliding or Growing, with any interval desired. (Genesys recommends that the time interval should divide an hour or day evenly.)
Source Metric Name | Genesys Metric Name |
CallsHandled (nch) | Informiam.Interactions_Processed |
CallsTransferred (nct) | Informiam.Total_Calls_Transferred |
(totalLoggedIn) | Informiam.Total_LoggedIn_Time |
Inserted here: calculated crystals
/*
Computed X-ray powder pattern of AuS5 for Cu Kα (λ = 1.5418 Å), from a PBE-relaxed structure.
Lines closer than 0.1° are merged.

Atomic structure:
```
data_AuS5
_chemical_formula_sum 'Au8 S40'
_cell_length_a 14.4477
_cell_length_b 17.9805
_cell_length_c 5.4218
_cell_angle_alpha 90.00
_cell_angle_beta 90.00
_cell_angle_gamma 90.00
_space_group_name_H-M_alt 'P n m a'
_space_group_IT_number 62
loop_
_space_group_symop_operation_xyz
'x,y,z'
'-x,-y,-z'
'-x+1/2,-y,z+1/2'
'x+1/2,y,-z+1/2'
'x+1/2,-y+1/2,-z+1/2'
'-x+1/2,y+1/2,z+1/2'
'-x,y+1/2,-z'
'x,-y+1/2,z'
loop_
_atom_site_label
_atom_site_fract_x
_atom_site_fract_y
_atom_site_fract_z
Au1 0.0772 0.1458 0.0808
S1 0.0186 0.0315 0.1866
S2 0.1160 0.7500 0.9250
S3 0.1549 0.5048 0.2521
S4 0.1578 0.2500 0.9843
S5 0.1614 0.6146 0.3370
S6 0.2003 0.6603 0.9922
```

Main lines, by angle (2θ from 10° to 80°):
12.3°, intensity 20, hkl 2 0 0
13.2°, intensity 38, hkl 2 1 0
17.5°, intensity 100, hkl 1 0 1
20.5°, intensity 37, hkl 2 0 1
25.2°, intensity 88, hkl 4 1 0
26.5°, intensity 21, hkl 1 4 1
28.9°, intensity 24, hkl 4 3 0
34.0°, intensity 22, hkl 1 1 2
35.2°, intensity 31, hkl 4 5 0
35.3°, intensity 39, hkl 3 5 1


Computed X-ray powder pattern of SnAu2S2 for Cu Kα (λ = 1.5418 Å), from a PBE-relaxed structure.
Lines closer than 0.1° are merged.

Atomic structure:
```
data_SnAu2S2
_chemical_formula_sum 'Sn1 Au2 S2'
_cell_length_a 3.8176
_cell_length_b 3.8176
_cell_length_c 8.1880
_cell_angle_alpha 90.00
_cell_angle_beta 90.00
_cell_angle_gamma 120.00
_space_group_name_H-M_alt 'P -3 m 1'
_space_group_IT_number 164
_space_group_name_Hall '-P 3 2"'
loop_
_atom_site_label
_atom_site_fract_x
_atom_site_fract_y
_atom_site_fract_z
Sn1 0.0000 0.0000 0.0000
Au1 0.3333 0.6667 0.3927
S1 0.3333 0.6667 0.8049
```

Main lines, by angle (2θ from 10° to 80°):
10.8°, intensity 41, hkl 0 0 1
29.1°, intensity 100, hkl 0 1 1
34.9°, intensity 98, hkl 1 0 2
43.0°, intensity 44, hkl 0 1 3
47.6°, intensity 47, hkl 1 1 0
52.6°, intensity 20, hkl 1 0 4
56.8°, intensity 16, hkl 2 0 1
60.4°, intensity 20, hkl 0 2 2
76.7°, intensity 23, hkl 1 1 5
77.2°, intensity 14, hkl 1 2 1


This entry pairs a crystal structure of CaLaMn2O6 with its computed X-ray powder pattern. Radiation: Cu Kα, 1.54184 Å. Structure: DFT lattice parameters and positions (GGA+U).
Neutral-atom scattering factors, no anomalous dispersion.

Structure:
```
CaLaMn2O6
1.0
7.716 0.000 0.000
0.000 5.529 0.000
0.000 0.000 5.485
Ca La Mn O
2 2 4 12
Direct
0.000 0.208 0.000
0.500 0.792 0.500
0.000 0.719 0.485
0.500 0.281 0.985
0.249 0.250 0.491
0.251 0.750 0.991
0.749 0.750 0.991
0.751 0.250 0.491
0.000 0.265 0.569
0.000 0.769 0.923
0.209 0.463 0.204
0.214 0.967 0.274
0.286 0.033 0.774
0.291 0.537 0.704
0.500 0.231 0.423
0.500 0.735 0.069
0.709 0.537 0.704
0.714 0.033 0.774
0.786 0.967 0.274
0.791 0.463 0.204
```

Peak list (10 most intense, 10° ≤ 2θ ≤ 90°, low angle first)
- (1 1 0), 19.75 deg, 4.494 Å, I 18
- (1 0 1), 19.86 deg, 4.471 Å, I 18
- (0 2 0), 32.38 deg, 2.765 Å, I 20
*/
LongestTalkTime (ltt) | Informiam.Longest_Call |
LongestWrapTime (lacw) | Informiam.Longest_ACWCall |
Total ACD Inbound ACW Time (ACDInboundACW)1 | Informiam.Total_Inbound_ACW_Voice_Time |
Total ACW Time (totalACW)1 | Informiam.Total_All_ACW_Voice_Time |
TotalHandleTime (tht) | Informiam.Total_Handle_Time |
Total Non ACD Inbound ACW Time (nonACDInboundACW)1 | Informiam.Total_Inbound_ACW_Voice_Time |
Total Not Ready Time (totalNotReady)1 | Informiam.Total_NotReady_Time |
Total Not Ready Time - Type X (totalNotReadyT X) | Informiam.Total_NotReady_Time |
Total Number of ACD Calls (ACDCalls) | Informiam.Total_Number_Inbound_Unknown_Voice_Calls |
Total Number of Consult Calls (consultCalls) | Informiam.Total_Number_Consult_Calls |
Total Number of Internal Calls (internalCalls) | Informiam.Total_Number_Internal_Voice_Calls |
Total Number of Non ACD Calls (nonACDCalls) | Informiam.Total_Number_Inbound_Unknown_Voice_Calls |
Total Number of Outbound Calls (outboundCalls) | Informiam.Total_Number_Outbound_Voice_Calls |
Total Other ACW Time (otherACW) | Informiam.Total_Time_Other_ACW_Voice_Time |
Total Outbound ACW Time (outboundACW) | Informiam.Total_Outbound_ACW_Voice_Time |
Total Ready Time (totalReady) | Informiam.Total_Ready_Status_Time |
TotalTalkTime (ttt) | Informiam.Total_Talk_Time |
Total Time In ACD Calls (totalACD) | Informiam.Total_Inbound_Status_Voice_Time |
Total Time In Consult Calls (totalConsult) | Informiam.Total_Consult_Status_Time |
Total Time In Internal Calls (totalInternal) | Informiam.Total_Internal_Status_Voice_Time |
Total Time In Non ACD Calls (totalNonACD) | Informiam.Total_Inbound_Status_Voice_Time |
Total Time In Outbound Calls (totalOutbound) | Informiam.Total_Outbound_Status_Voice_Time |
TotalWrapTime (tacw) | Informiam.Total_ACW_Time |
Web Chat
Source Metric Name | Genesys Metric Name |
ChatInProcess (wInProc) | Informiam.Chat_InProcessing |
ChatAccepted (wAcpt) | Informiam.Chat_Accepted |
ChatRejected (wRjct) | Informiam.Chat_Total_Rejected |
ChatTimedOut (wTO) | Informiam.Chat_Total_TimedOut |
ChatTransferred (wTxfrs) | Informiam.Chat_Total_Transferred |
Crystal structures that have nothing to do with the text
........
# NbTc4Au2
Theoretical powder X-ray diffraction pattern, Cu Kα (weighted mean of Kα1 and Kα2). Input: a PBE-relaxed structure.
Lines closer than 0.1° are merged.

Principal peaks in the range 2θ = 10–90°, by angle:
- hkl 0 0 2, 13.3 deg, rel. 23
- hkl 1 1 0, 26.7 deg, rel. 49
- hkl 2 0 0, 38.2 deg, rel. 100
- hkl 1 0 5, 38.9 deg, rel. 62
- hkl 2 2 0, 55.0 deg, rel. 22
- hkl 2 1 5, 55.6 deg, rel. 44
- hkl 3 1 4, 68.9 deg, rel. 13
- hkl 3 2 5, 82.0 deg, rel. 14

Structure:
```
data_NbTc4Au2
_chemical_formula_sum 'Nb2 Tc8 Au4'
_cell_length_a 4.7216
_cell_length_b 4.7216
_cell_length_c 13.2938
_cell_angle_alpha 90.00
_cell_angle_beta 90.00
_cell_angle_gamma 90.00
_symmetry_space_group_name_H-M 'P 1'
_symmetry_Int_Tables_number 1
loop_
_symmetry_equiv_pos_as_xyz
'x,y,z'
loop_
_atom_site_label
_atom_site_type_symbol
_atom_site_fract_x
_atom_site_fract_y
_atom_site_fract_z
Nb1 Nb 0.0000 0.0000 0.0000
Nb2 Nb 0.5000 0.5000 0.5000
Tc1 Tc 0.0000 0.0000 0.1884
Tc2 Tc 0.0000 0.0000 0.8116
Tc3 Tc 0.0000 0.5000 0.0000
Tc4 Tc 0.0000 0.5000 0.5000
Tc5 Tc 0.5000 0.0000 0.0000
Tc6 Tc 0.5000 0.0000 0.5000
Tc7 Tc 0.5000 0.5000 0.3116
Tc8 Tc 0.5000 0.5000 0.6884
Au1 Au 0.0000 0.0000 0.3864
Au2 Au 0.0000 0.0000 0.6136
Au3 Au 0.5000 0.5000 0.1136
Au4 Au 0.5000 0.5000 0.8864
```


For CrSnBO5, a crystal structure in Alexandria, relaxed with GGA+U gives the theoretical X-ray powder pattern in this record (a wavelength of 1.5418 Å).
Neutral-atom scattering factors, no anomalous dispersion.

Top 10 peaks for 10 to 90 degrees two-theta, low angle first:
Position (°2θ), I_rel
19.02, 59
22.18, 28
27.22, 100
31.17, 45
34.66, 53
37.12, 35
37.38, 19
45.95, 26
53.10, 18
56.58, 17

Crystal structure
a b c (Å): 6.2254 8.0142 7.3534
angles (deg): 90.00 112.79 90.00
Space group C2/c (No. 15)
One atom of each set of equivalent atoms:
1 Cr 0.0000 0.1474 0.2500 (multiplicity 4)
2 Sn 0.0000 0.5000 0.0000 (multiplicity 4)
3 B 0.0000 0.1841 0.7500 (multiplicity 4)
4 O 0.0000 0.3856 0.2500 (multiplicity 4)
5 O 0.1393 0.2936 0.6708 (multiplicity 8)
6 O 0.1456 0.0618 0.9029 (multiplicity 8)
........
ChatHandled (wH) | Informiam.Chat_Total_Handled |
ChatOffered (wOffered) | Informiam.Chat_Total_Offered |
ChatHandleTime (wHT) | Informiam.Chat_Total_HandleTime |
Source Metric Name | Genesys Metric Name |
EmailInProcess (eInProc) | Informiam.Email_InProcessing |
EmailAccepted (eAcpt) | Informiam.Email_Accepted |
EmailRejected (eRjct) | Informiam.Email_Total_Rejected |
EmailTimedOut (eTO) | Informiam.Email_Total_TimedOut |
EmailTransferred (eTxfrs) | Informiam.Email_Total_Transferred |
EmailHandled (eH) | Informiam.Email_Total_Handled |
EmailOffered (eOffered) | Informiam.Email_Total_Offered |
EmailHandleTime (eHT) | Informiam.Email_Total_HandlingTime |